Since 1898 - Cuba had been under political
and economic influence of USA
By mid 1900s - USA owned much of Cuban economy
From 1933 - Cuba ruled by Batista - ruthless military dictator
Encouraged economic involvement with USA in return for
**Inserted here: crystal structures**
No. 1
A plane-wave DFT calculation with PBE was carried out for Ac7Co2Ni2 after structural relaxation.

```
data_Ac7Co2Ni2
_cell_length_a 7.2837
_cell_length_b 10.7328
_cell_length_c 8.5681
_cell_angle_alpha 90.00
_cell_angle_beta 94.67
_cell_angle_gamma 90.00
_space_group_name_H-M_alt 'C 1 2/m 1'
_space_group_IT_number 12
_space_group_name_Hall '-C 2y'
loop_
_atom_site_label
_atom_site_type_symbol
_atom_site_fract_x
_atom_site_fract_y
_atom_site_fract_z
Ac1 Ac 0.0000 0.0000 0.0000
Ac2 Ac 0.1595 0.3116 0.2082
Ac3 Ac 0.2459 0.0000 0.4089
Co1 Co 0.1250 0.5000 0.9243
Ni1 Ni 0.0000 0.2510 0.5000
```

As for the total energy: -4.99 eV per atom.



No. 2
A plane-wave DFT calculation with PBE was carried out for Rb3NpS4 after structural relaxation.

```
data_Rb3NpS4
_cell_length_a 8.0363
_cell_length_b 11.5394
_cell_length_c 6.8622
_cell_angle_alpha 90.00
_cell_angle_beta 90.00
_cell_angle_gamma 90.00
_space_group_name_H-M_alt 'I m m 2'
_space_group_IT_number 44
_space_group_name_Hall 'I 2 -2'
loop_
_atom_site_label
_atom_site_type_symbol
_atom_site_fract_x
_atom_site_fract_y
_atom_site_fract_z
Rb1 Rb 0.0000 0.0000 0.0000
Rb2 Rb 0.0000 0.2617 0.4022
Np1 Np 0.0000 0.5000 0.9467
S1 S 0.0000 0.2873 0.8836
S2 S 0.2306 0.5000 0.1786
```

As for the total energy: -5.01 eV per atom. The formation energy (no corrections) is -7.72 eV/f.u.



No. 3
A plane-wave DFT calculation with PBE was carried out for K4Rb2Na2Tl after structural relaxation.

```
data_K4Rb2Na2Tl
_cell_length_a 4.6009
_cell_length_b 4.6009
_cell_length_c 30.5998
_cell_angle_alpha 90.00
_cell_angle_beta 90.00
_cell_angle_gamma 120.00
_space_group_name_H-M_alt 'P 3 m 1'
_space_group_IT_number 156
_space_group_name_Hall 'P 3 -2"'
loop_
_atom_site_label
_atom_site_type_symbol
_atom_site_fract_x
_atom_site_fract_y
_atom_site_fract_z
K1 K 0.0000 0.0000 0.0000
K2 K 0.0000 0.0000 0.2611
K3 K 0.3333 0.6667 0.6132
K4 K 0.3333 0.6667 0.8748
Rb1 Rb 0.0000 0.0000 0.7432
Rb2 Rb 0.3333 0.6667 0.1313
Na1 Na 0.0000 0.0000 0.3869
Na2 Na 0.0000 0.0000 0.5149
Tl1 Tl 0.3333 0.6667 0.4523
```

As for the total energy: -1.21 eV per atom.



No. 4
A plane-wave DFT calculation with PBE was carried out for LiEuAgAs after structural relaxation.

```
data_LiEuAgAs
_cell_length_a 7.0371
_cell_length_b 7.0371
_cell_length_c 7.0371
_cell_angle_alpha 90.00
_cell_angle_beta 90.00
_cell_angle_gamma 90.00
_space_group_name_H-M_alt 'F -4 3 m'
_space_group_IT_number 216
_space_group_name_Hall 'F -4 2 3'
loop_
_atom_site_label
_atom_site_type_symbol
_atom_site_fract_x
_atom_site_fract_y
_atom_site_fract_z
Li1 Li 0.0000 0.0000 0.0000
Eu1 Eu 0.0000 0.0000 0.5000
Ag1 Ag 0.2500 0.2500 0.7500
As1 As 0.2500 0.2500 0.2500
```

As for the total energy: -5.48 eV per atom.



No. 5
A plane-wave DFT calculation with PBE was carried out for Rb2TlBiO4 after structural relaxation.

```
data_Rb2TlBiO4
_cell_length_a 9.0240
_cell_length_b 9.0027
_cell_length_c 6.3929
_cell_angle_alpha 90.00
_cell_angle_beta 134.79
_cell_angle_gamma 90.00
**The article goes on**
US support of his brutal, corrupt and unpopular regime
Jan 1959 - Batista overthrown by revolutionaries -
led by Castro - Batista fled into exile
Growing US-Cuban tension 1959-1961
Initially - Castro seemed to be a liberal nationalist - and
had no programme to nationalise US interests in Cuba
However - relations soon deteriorated and Castro became
increasingly dependent on the USSR
Tensions between Cuba and US increased due to:
Castro's meeting with US Vice-President Nixon in New York -April
59 - didn't go well - Nixon concluded that Castro was a communist
Castro's imprisonment and execution of some of
Batista's supporters was condemned by US
Many Batista supporters fled to USA where they campaigned for
a US backed invasion of Cuba - this hardened Castro's attitude
Castro wanted to make Cuba independent of US influence -
so he distributed land to poor peasants who had previously
been exploited by Batista and US businesses
US-owned oil companies in Cuba refused to refine the cheaper
Soviet oil - Castro responded by nationalising the refineries
Feb 1960 - Castro signed trade deal with USSR to nationalise US
interests in Cuba that were worth over $1 billion
July 60 - US imposed economic blockade on Cuba - thereby
refusing to buy its sugar - USSR bought the crop and sent Castro
petrol after the USA refused to ship supplies
Early 1961 - Castro formally embraced communism
Bay of Pigs Invasion April 1961
61 - Kennedy authorised CIA-backed invasion of Cuba
Aim - spark popular revolt to overthrow Castro
Some 1400 lightly-armed anti-Castro exiles
landed at the Bay of Pigs
They were quickly overwhelmed by the Cuban army and air force
Failure was deep humiliation for Kennedy who
could not conceal the USA's involvement
Castro reacted by entering into a defensive agreement with the USSR -
which brought Soviet weapons and military advisers to Cuba
By early 62 - K had supplied Cuba with MiG jets and surface-to-air missiles (SAMs)
## Data records, kept here for reference
=====
[1]
Dy9Ho2Er | PBE | relaxed

abc: 4.9900 4.9900 14.9770
angles: 90.00 90.00 90.00
Fractional positions:
Dy  0.0000  0.0000  0.0000
Dy  0.0000  0.0000  0.3332
Dy  0.0000  0.0000  0.6668
Dy  0.0000  0.5000  0.1664
Dy  0.0000  0.5000  0.5000
Dy  0.0000  0.5000  0.8336
Dy  0.5000  0.0000  0.1664
Dy  0.5000  0.0000  0.5000
Dy  0.5000  0.0000  0.8336
Ho  0.5000  0.5000  0.3332
Ho  0.5000  0.5000  0.6668
Er  0.5000  0.5000  0.0000

Computed properties:
**Spin magnetization**: 0.000 μB/atom
**DFT total energy**: -4.574 eV/atom

---

[2]
Dy5HoEr5 | PBE | relaxed

abc: 9.7853 9.7853 6.8773
angles: 110.44 110.44 34.82
Fractional positions:
Dy  0.0000  0.0000  0.0000
Dy  0.3218  0.3218  0.0669
Dy  0.3218  0.3218  0.5759
Dy  0.6782  0.6782  0.4241
Dy  0.6782  0.6782  0.9331
Ho  0.5000  0.5000  0.0000
Er  0.1235  0.1235  0.6244
Er  0.1690  0.1690  0.1698
Er  0.5000  0.5000  0.5000
Er  0.8310  0.8310  0.8302
Er  0.8765  0.8765  0.3756

Computed properties:
**Spin magnetization**: 0.079 μB/atom
**DFT total energy**: -4.295 eV/atom

* * * * *

1.
# HfVBi3

An optimized crystal structure of HfVBi3 (PBE, Alexandria).

Cell: 5.6075 5.6075 5.6075 Å, 90.00 90.00 90.00°
With the nearest neighbours (Å) after each atom.
Fractional positions:
Bi (0.0000, 0.5000, 0.0000)  2 Hf 2.80
Bi (0.0000, 0.0000, 0.5000)  2 Hf 2.80
Bi (0.5000, 0.0000, 0.0000)  2 Hf 2.80
Hf (0.0000, 0.0000, 0.0000)  6 Bi 2.80
V (0.5000, 0.5000, 0.5000)  12 Bi 3.97

Output
Symmetry: Pm-3m, No. 221
E_tot: -5.280 eV per atom
DOS at the Fermi energy: 1.6648 states/eV per atom
Total magnetic moment: 0.7534 μB per atom
E above lowest polymorph: 4.1 kJ/mol of atoms

2.
# AlZnBi

An optimized crystal structure of AlZnBi (PBE, Alexandria).

Cell: 4.7504 4.7504 4.7504 Å, 60.00 60.00 60.00°
With the nearest neighbours (Å) after each atom.
Fractional positions:
Zn (0.0000, 0.0000, 0.0000)  4 Al 2.91
Al (0.2500, 0.2500, 0.2500)  4 Bi 2.91, 4 Zn 2.91
Bi (0.5000, 0.5000, 0.5000)  4 Al 2.91

Output
Symmetry: F-43m, No. 216
E_tot: -2.782 eV per atom
DOS at the Fermi energy: 0.0511 states/eV per atom
Total magnetic moment: 0.0000 μB per atom
E above lowest polymorph: 0.0 kJ/mol of atoms

3.
# Nd8Ho2Sc

An optimized crystal structure of Nd8Ho2Sc (PBE, Alexandria).

Cell: 6.6842 10.1506 10.1506 Å, 39.26 60.63 60.63°
With the nearest neighbours (Å) after each atom.
Fractional positions:
Nd (0.7729, 0.6608, 0.1771)  1 Sc 3.20, 5 Nd 3.30-3.52, 1 Ho 3.48
Nd (0.1591, 0.7535, 0.7535)  5 Nd 3.36-3.50, 2 Ho 3.42-3.56
Nd (0.7233, 0.5980, 0.5980)  6 Nd 3.37-3.66, 1 Ho 3.69
Nd (0.2767, 0.4020, 0.4020)  6 Nd 3.37-3.66, 1 Ho 3.69
Nd (0.2271, 0.8229, 0.3392)  1 Sc 3.20, 5 Nd 3.30-3.52, 1 Ho 3.48
Nd (0.7729, 0.1771, 0.6608)  1 Sc 3.20, 5 Nd 3.30-3.52, 1 Ho 3.48
Nd (0.2271, 0.3392, 0.8229)  1 Sc 3.20, 5 Nd 3.30-3.52, 1 Ho 3.48
Nd (0.8409, 0.2465, 0.2465)  5 Nd 3.36-3.50, 2 Ho 3.42-3.56
Ho (0.5575, 0.8148, 0.8148)  9 Nd 3.42-3.83, 1 Sc 3.56
Ho (0.4425, 0.1852, 0.1852)  9 Nd 3.42-3.83, 1 Sc 3.56
=====
Operation Mongoose October 1961
6 months after Bay of Pigs - CIA with Kennedy's
support launched Operation Mongoose
A secret programme designed to destablise the
Cuban regime and topple Castro
Jan-July 1962 - 60000 acts of sabotage - ranging
from murder to arson - were carried out
USA also held large scale military exercises in
the Caribbean to increase pressure on Cuba and
== Someone pasted calculated crystals at this point ==
- - -
Version P
Material: FeAsOF2
Method: DFT, PBE+U
State: optimized geometry

```
FeAsOF2
1.0
4.037 0.000 0.000
0.000 4.037 0.000
0.000 0.000 3.978
Fe As O F
1 1 1 2
direct
0.000 0.000 0.000
0.500 0.500 0.500
0.000 0.000 0.500
0.000 0.500 0.000
0.500 0.000 0.000
```

Results
* size of the total moment: 1.020 μB/atom

Version Q
Material: FeAsOF2
Method: DFT, PBE+U
State: optimized geometry

```
FeAsOF2
1.0
4.377 0.000 0.000
0.000 4.377 0.000
0.000 0.000 3.962
Fe As O F
1 1 1 2
direct
0.000 0.000 0.000
0.500 0.500 0.500
0.500 0.500 0.000
0.000 0.500 0.500
0.500 0.000 0.500
```

Results
* size of the total moment: 0.979 μB/atom

Short version: version Q is the least stable of them.

----------

1.
Entry from Alexandria via LeMat-Bulk: a relaxed Fe3AgCl12 crystal (GGA-PBE).

abc: 11.809 11.809 11.534
angles: 59.21 59.21 60.00
Last column: magnetic moment on the atom in μB.
Element x y z (fractional)
1 Cl 0.386 0.147 0.974  0.18
2 Cl 0.147 0.493 0.974  0.18
3 Cl 0.408 0.040 0.310  0.20
4 Cl 0.501 0.664 0.521  0.10
5 Cl 0.993 0.647 0.474  0.18
6 Cl 0.242 0.408 0.310  0.20
7 Cl 0.040 0.242 0.310  0.20
8 Cl 0.787 0.616 0.192  0.12
9 Cl 0.664 0.314 0.521  0.10
10 Cl 0.116 0.287 0.692  0.12
11 Cl 0.001 0.814 0.021  0.10
12 Cl 0.814 0.164 0.021  0.10
13 Cl 0.904 0.116 0.692  0.12
14 Cl 0.404 0.787 0.192  0.12
15 Cl 0.493 0.386 0.974  0.18
16 Cl 0.540 0.908 0.810  0.20
17 Cl 0.742 0.540 0.810  0.20
18 Cl 0.287 0.904 0.692  0.12
19 Cl 0.647 0.886 0.474  0.18
20 Cl 0.314 0.501 0.521  0.10
21 Cl 0.164 0.001 0.021  0.10
22 Cl 0.616 0.404 0.192  0.12
23 Cl 0.908 0.742 0.810  0.20
24 Cl 0.886 0.993 0.474  0.18
25 Fe 0.878 0.168 0.493  3.38
26 Fe 0.378 0.961 0.993  3.38
27 Fe 0.961 0.668 0.993  3.38
28 Fe 0.461 0.878 0.493  3.38
29 Fe 0.168 0.461 0.493  3.38
30 Fe 0.668 0.378 0.993  3.38
31 Ag 0.052 0.052 0.843  -0.11
32 Ag 0.552 0.552 0.343  -0.11

Results
As for the space group: No. 161. As for the calculated volume: 35.11 A^3/atom. The energy relative to the elements, uncorrected is -0.61 eV per atom. The total energy is -3.7562 eV per atom.

***

2.
Entry from Alexandria via LeMat-Bulk: a relaxed ZnOs2AuBr crystal (GGA-PBE).

abc: 4.571 4.730 4.571
angles: 90.00 90.00 90.00
Last column: magnetic moment on the atom in μB.
Element x y z (fractional)
1 Os 0.000 0.000 0.500  0.29
2 Os 0.500 0.000 0.000  0.40
3 Zn 0.000 0.500 0.000  -0.01
4 Br 0.000 0.000 0.000  0.00
5 Au 0.500 0.500 0.500  0.03

Results
As for the space group: No. 123. As for the calculated volume: 19.76 A^3/atom. The energy relative to the elements, uncorrected is 2.04 eV per atom. The total energy is -3.6963 eV per atom.

***

3.
Entry from Alexandria via LeMat-Bulk: a relaxed HfMgCoCu crystal (GGA-PBE).

abc: 4.421 4.421 4.421
angles: 60.00 60.00 60.00
Element x y z (fractional)
1 Cu 0.750 0.750 0.750
2 Co 0.250 0.250 0.250
3 Hf 0.500 0.500 0.500
4 Mg 0.000 0.000 0.000

Results
- - -
demonstrate US's armed might
Both Castro and USSR expected USA to invade
Soviet nuclear weapons on Cuba 1962
Early september 1962 - USSR secretly started to
install 24 medium range ballistic missile launchers and
16 longer range ones in Cuba
Each launcher would hold 2 missiles - both containing
a one megaton warheard
Soviets also sent:
42 jet bombers
42 jet fighters
24 advanced SAMs
4 elite army regiments
2 tank battalions
over 40,000 troops and other personnel
Khrushchev described this build up as 'throwing a
hedgehog down Uncle Sam's underpants'
Khrushchev's Precise motives for this aren't
clear but probably include the following
to defend Cuba from an expected US invasion
to bargain for removal of US
missiles in Turkey and Italy
to further humiliate Kennedy after Bay of Pigs failure
to put pressure on West to leave Berlin
to achieve nuclear parity with USA by making US
cities more vulnerable to attack